What to do.
Could you search the data below for the word "with" and give back each line that has it?

Data.
~~~
Record 1
Here is one molecule with the formula C18H23NO8 from the OMol25 dataset. Energies are from ωB97M-V/def2-TZVPD.

Each line ends with the Löwdin charge.
Element x y z (Å)
1 C 0.8127 1.4193 4.9624  -0.06
2 C 1.8968 0.4994 4.4176  -0.21
3 O 1.3444 -0.5346 3.6052  -0.03
4 C 1.0822 -0.2135 2.3239  -0.42
5 O 1.3400 0.8810 1.8626  0.11
6 C 0.4703 -1.2780 1.5358  -0.03
7 C -0.1100 -2.3934 2.0356  -0.20
8 C -0.1405 -2.7830 3.4774  0.00
9 N -0.7224 -3.2770 1.1881  0.12
10 C -0.7074 -3.1678 -0.1820  -0.20
11 C -1.2995 -4.3206 -0.9198  0.00
12 C -0.1522 -2.0834 -0.7672  -0.02
13 C -0.0549 -1.9687 -2.2266  -0.44
14 O -0.4754 -2.7854 -3.0195  0.09
15 O 0.5933 -0.8548 -2.5917  0.00
16 C 0.7492 -0.6266 -3.9913  -0.20
17 C -0.4807 0.0372 -4.5918  -0.05
18 C 0.3641 -0.9294 0.0613  -0.09
19 C -0.6015 0.2510 -0.0282  -0.44
20 O -1.6897 0.2702 0.4876  0.15
21 O -0.0828 1.2640 -0.7168  0.07
22 C -0.8094 2.4825 -0.6904  -0.18
23 C -0.4518 3.3292 0.5328  -0.06
24 C -0.1521 4.7142 -0.0542  -0.13
25 O -0.0056 4.5547 -1.4598  0.05
26 C -0.3781 3.3496 -1.8840  -0.41
27 O -0.3816 3.0280 -3.0337  0.14
28 H 0.2987 1.9100 4.1396  0.07
29 H 0.0886 0.8500 5.5405  0.08
30 H 1.2612 2.1755 5.6003  0.08
31 H 2.6149 1.0743 3.8236  0.12
32 H 2.4147 -0.0212 5.2261  0.12
33 H 0.8664 -2.9868 3.8352  0.10
34 H -0.7549 -3.6689 3.6257  0.08
35 H -0.5389 -1.9716 4.0804  0.09
36 H -1.1682 -4.0890 1.5888  0.14
37 H -0.5593 -4.7653 -1.5814  0.10
38 H -2.1107 -3.9775 -1.5580  0.10
39 H -1.6735 -5.0770 -0.2325  0.08
40 H 1.6210 0.0250 -4.0742  0.13
41 H 0.9458 -1.5860 -4.4835  0.12
42 H -0.3194 0.2026 -5.6533  0.08
43 H -0.6604 0.9930 -4.1073  0.05
44 H -1.3485 -0.6056 -4.4632  0.08
45 H 1.3270 -0.5801 -0.3234  0.16
46 H -1.8830 2.2593 -0.7591  0.17
47 H -1.2583 3.3622 1.2612  0.13
48 H 0.4304 2.8913 1.0026  0.11
49 H 0.7737 5.1499 0.3270  0.13
50 H -0.9732 5.4185 0.1166  0.13

Values from the calculation:
**Electronic energy**: -1356.4388 a.u.
**Orbital gap**: 8.61 eV
**SMILES**: CCOC(=O)C1=C(C)NC(C)=C(C(=O)OCC)C1C(=O)O[C@H]1CCOC1=O
**Spin multiplicity**: 1
**Energy above the lowest of the compared OMol25 structures with the same formula, charge and spin**: 0.0000 eV

Record 2
Here is one molecule with the formula C6H7ClO2Si in a non-equilibrium geometry from the OMol25 dataset. Energies are from ωB97M-V/def2-TZVPD.

Each line ends with the Löwdin charge.
Element x y z (Å)
1 O 2.4610 -1.9249 -0.1730  -0.15
2 Si 2.0183 -0.3710 0.0669  -0.11
3 O 2.3142 0.4286 -1.3255  -0.12
4 Cl 2.9593 0.1930 1.7520  0.42
5 C 0.2039 -0.0641 0.3021  -0.28
6 C -0.6876 -1.1000 -0.0053  -0.10
7 C -2.0075 -0.8536 -0.1115  -0.11
8 C -2.4426 0.4404 -0.0017  -0.14
9 C -1.6472 1.4555 0.3427  -0.11
10 C -0.2574 1.2123 0.5452  -0.10
11 H 3.2314 -2.4000 -0.5842  0.11
12 H 2.1639 1.3799 -1.3740  0.07
13 H -0.2599 -2.1306 -0.0005  0.12
14 H -2.8442 -1.5179 -0.3264  0.11
15 H -3.5810 0.5208 -0.1634  0.13
16 H -1.9837 2.5826 0.4322  0.14
17 H 0.3590 2.1491 0.6247  0.12

Values from the calculation:
**Electronic energy**: -1133.1358 a.u.
**Orbital gap**: 10.10 eV
**SMILES**: O[Si](O)(Cl)c1ccccc1
**Spin multiplicity**: 1
**Energy above the lowest of the compared OMol25 structures with the same formula, charge and spin**: 0.0000 eV

Record 3
Here is one molecule with the formula C6H11N in a non-equilibrium geometry from the OMol25 dataset. Energies are from ωB97M-V/def2-TZVPD.

Each line ends with the Löwdin charge.
Element x y z (Å)
1 C 1.8509 0.5198 0.2957  0.04
2 C 0.5159 0.5554 0.1023  -0.37
3 C -0.1299 -0.3337 -0.9142  -0.09
4 C -0.2128 -1.6530 -0.7754  -0.16
5 C -1.1830 -2.4784 -1.5997  -0.10
6 N -0.4454 1.0537 1.0005  -0.07
7 C -0.1869 2.2498 1.7520  -0.13
8 H 2.4095 -0.3905 0.1313  0.05
9 H 2.4906 1.3393 0.6079  0.05
10 H -0.6309 0.2213 -1.7006  0.11
11 H 0.5604 -2.1529 -0.1991  0.11
12 H -1.8372 -3.0125 -0.9084  0.07
13 H -0.6233 -3.2831 -2.0810  0.07
14 H -1.6849 -1.7798 -2.2582  0.07
15 H -0.9122 0.3244 1.5127  0.13
16 H 0.5947 2.1195 2.5206  0.08
17 H 0.1609 3.1217 1.1973  0.08
~~~

Reply.
Here is one molecule with the formula C18H23NO8 from the OMol25 dataset. Energies are from ωB97M-V/def2-TZVPD.
Each line ends with the Löwdin charge.
**Energy above the lowest of the compared OMol25 structures with the same formula, charge and spin**: 0.0000 eV
Here is one molecule with the formula C6H7ClO2Si in a non-equilibrium geometry from the OMol25 dataset. Energies are from ωB97M-V/def2-TZVPD.
Each line ends with the Löwdin charge.
**Energy above the lowest of the compared OMol25 structures with the same formula, charge and spin**: 0.0000 eV
Here is one molecule with the formula C6H11N in a non-equilibrium geometry from the OMol25 dataset. Energies are from ωB97M-V/def2-TZVPD.
Each line ends with the Löwdin charge.